• Exercise:
Next, print the rows further below exactly.

• Given:
____________
K2BaPuCl8: calculated XRD peak list (λ = 1.5418 Å (Cu Kα)), based on DFT lattice parameters and positions (PBE).

Peak list (6 most intense, 10 to 90 degrees two-theta, low angle first)
2theta, Rel. int., index
12.0, 100, 0 0 1
18.4, 95, 1 0 -1
22.0, 91, 0 2 1
22.1, 56, 1 0 1
32.5, 90, 1 2 -2
37.0, 56, 1 2 2

Structure:
Cell: 5.5178 9.6740 7.4916 Å, 90.00 100.70 90.00°
Space group P2/m (No. 10)
One atom of each set of equivalent atoms:
1 K 0.0000 0.2477 0.0000 [2 per cell]
2 Ba 0.5000 0.0000 0.5000 [1 per cell]
3 Pu 0.5000 0.5000 0.5000 [1 per cell]
4 Cl 0.0200 0.0000 0.7421 [2 per cell]
5 Cl 0.0720 0.5000 0.2879 [2 per cell]
6 Cl 0.4364 0.2904 0.7159 [4 per cell]

K2BaRuCl8: calculated XRD peak list (λ = 1.5418 Å (Cu Kα)), based on DFT lattice parameters and positions (PBE).

Peak list (6 most intense, 10 to 90 degrees two-theta, low angle first)
2theta, Rel. int., index
12.2, 73, 0 0 1
16.8, 61, 1 0 -1
23.2, 100, 1 0 1
31.7, 87, 1 2 -2
32.6, 32, 2 0 0
39.3, 28, 1 2 2

Structure:
Cell: 5.8105 9.0251 7.6810 Å, 90.00 108.99 90.00°
Space group P2/m (No. 10)
One atom of each set of equivalent atoms:
1 K 0.0000 0.2426 0.0000 [2 per cell]
2 Ba 0.5000 0.5000 0.5000 [1 per cell]
3 Ru 0.5000 0.0000 0.5000 [1 per cell]
4 Cl 0.0327 0.5000 0.7509 [2 per cell]
5 Cl 0.0949 0.0000 0.3208 [2 per cell]
6 Cl 0.4348 0.1898 0.6950 [4 per cell]

KBaScCl6: calculated XRD peak list (λ = 1.5418 Å (Cu Kα)), based on DFT lattice parameters and positions (PBE).

Peak list (6 most intense, 10 to 90 degrees two-theta, low angle first)
2theta, Rel. int., index
13.7, 26, 1 0 0
14.1, 41, 0 0 2
19.7, 76, 1 0 2
27.8, 79, 1 1 2
37.4, 100, 1 1 4
41.8, 35, 3 0 0

Structure:
Cell: 7.4805 7.4805 12.5761 Å, 90.00 90.00 120.00°
Space group P-31c (No. 163)
One atom of each set of equivalent atoms:
1 K 0.0000 0.0000 0.0000 [2 per cell]
2 Ba 0.3333 0.6667 0.2500 [2 per cell]
3 Sc 0.3333 0.6667 0.7500 [2 per cell]
4 Cl 0.0576 0.3924 0.6347 [12 per cell]

BaLaCl5: calculated XRD peak list (λ = 1.5418 Å (Cu Kα)), based on DFT lattice parameters and positions (PBE).

Peak list (6 most intense, 10 to 90 degrees two-theta, low angle first)
2theta, Rel. int., index
13.5, 100, 1 0 1
23.6, 81, 1 1 -1
30.5, 45, 2 1 0
33.6, 41, 2 1 2
40.5, 39, 2 1 -4
41.0, 35, 3 1 -1

Structure:
Cell: 7.6401 4.5596 13.4543 Å, 90.00 91.41 90.00°
Space group P2_1/m (No. 11)
One atom of each set of equivalent atoms:
1 Ba 0.0560 0.2500 0.3440 [2 per cell]
2 La 0.4368 0.7500 0.1491 [2 per cell]
3 Cl 0.0749 0.7500 0.1640 [2 per cell]
4 Cl 0.1545 0.2500 0.5698 [2 per cell]
5 Cl 0.3257 0.2500 0.0222 [2 per cell]
6 Cl 0.3574 0.7500 0.7928 [2 per cell]
7 Cl 0.3672 0.7500 0.3496 [2 per cell]

----------

# 1
# BaH6Os
Simulated powder diffractogram, λ = 1.5418 Å (Cu Kα). Input: a structure optimized by DFT (PBE).
Neutral-atom scattering factors, no anomalous dispersion.

Most intense lines, 10 to 90 degrees two-theta, sorted by position:
2θ/deg	d_spacing	intensity
25.9	3.444	100
32.9	2.719	53
40.6	2.225	31
42.4	2.134	27
53.2	1.722	14
54.7	1.679	26
58.8	1.570	10
64.0	1.455	16
65.2	1.431	15
75.1	1.265	10
83.3	1.160	8
84.4	1.148	8

Atomic structure:
abc: 5.4386 5.4386 10.0951
angles: 90.00 90.00 120.00
Space group R-3m (No. 166, hexagonal axes)
Symmetry-distinct sites (fractional):
Ba 0.0000 0.0000 0.0000 [3 per cell]
H 0.0069 0.5034 0.8938 [18 per cell]
Os 0.0000 0.0000 0.5000 [3 per cell]

***

# 2
# Th3Sb2
Simulated powder diffractogram, λ = 1.5418 Å (Cu Kα). Input: a structure optimized by DFT (PBE).
Neutral-atom scattering factors, no anomalous dispersion.

Most intense lines, 10 to 90 degrees two-theta, sorted by position:
2θ/deg	d_spacing	intensity
24.7	3.605	86
25.8	3.449	55
28.2	3.169	26
30.9	2.890	64
31.5	2.837	57
32.0	2.795	25
34.9	2.569	100
37.1	2.422	20
41.7	2.166	24
48.2	1.888	47
50.6	1.802	20
70.7	1.332	24

Atomic structure:
abc: 8.7655 11.8668 6.3373
angles: 90.00 90.00 90.00
Space group Ibam (No. 72)
Symmetry-distinct sites (fractional):
Th 0.0000 0.0000 0.2500 [4 per cell]
____________

• Response:
K2BaPuCl8: calculated XRD peak list (λ = 1.5418 Å (Cu Kα)), based on DFT lattice parameters and positions (PBE).

Peak list (6 most intense, 10 to 90 degrees two-theta, low angle first)
2theta, Rel. int., index
12.0, 100, 0 0 1
18.4, 95, 1 0 -1
22.0, 91, 0 2 1
22.1, 56, 1 0 1
32.5, 90, 1 2 -2
37.0, 56, 1 2 2

Structure:
Cell: 5.5178 9.6740 7.4916 Å, 90.00 100.70 90.00°
Space group P2/m (No. 10)
One atom of each set of equivalent atoms:
1 K 0.0000 0.2477 0.0000 [2 per cell]
2 Ba 0.5000 0.0000 0.5000 [1 per cell]
3 Pu 0.5000 0.5000 0.5000 [1 per cell]
4 Cl 0.0200 0.0000 0.7421 [2 per cell]
5 Cl 0.0720 0.5000 0.2879 [2 per cell]
6 Cl 0.4364 0.2904 0.7159 [4 per cell]

K2BaRuCl8: calculated XRD peak list (λ = 1.5418 Å (Cu Kα)), based on DFT lattice parameters and positions (PBE).

Peak list (6 most intense, 10 to 90 degrees two-theta, low angle first)
2theta, Rel. int., index
12.2, 73, 0 0 1
16.8, 61, 1 0 -1
23.2, 100, 1 0 1
31.7, 87, 1 2 -2
32.6, 32, 2 0 0
39.3, 28, 1 2 2

Structure:
Cell: 5.8105 9.0251 7.6810 Å, 90.00 108.99 90.00°
Space group P2/m (No. 10)
One atom of each set of equivalent atoms:
1 K 0.0000 0.2426 0.0000 [2 per cell]
2 Ba 0.5000 0.5000 0.5000 [1 per cell]
3 Ru 0.5000 0.0000 0.5000 [1 per cell]
4 Cl 0.0327 0.5000 0.7509 [2 per cell]
5 Cl 0.0949 0.0000 0.3208 [2 per cell]
6 Cl 0.4348 0.1898 0.6950 [4 per cell]

KBaScCl6: calculated XRD peak list (λ = 1.5418 Å (Cu Kα)), based on DFT lattice parameters and positions (PBE).

Peak list (6 most intense, 10 to 90 degrees two-theta, low angle first)
2theta, Rel. int., index
13.7, 26, 1 0 0
14.1, 41, 0 0 2
19.7, 76, 1 0 2
27.8, 79, 1 1 2
37.4, 100, 1 1 4
41.8, 35, 3 0 0

Structure:
Cell: 7.4805 7.4805 12.5761 Å, 90.00 90.00 120.00°
Space group P-31c (No. 163)
One atom of each set of equivalent atoms:
1 K 0.0000 0.0000 0.0000 [2 per cell]
2 Ba 0.3333 0.6667 0.2500 [2 per cell]
3 Sc 0.3333 0.6667 0.7500 [2 per cell]
4 Cl 0.0576 0.3924 0.6347 [12 per cell]

BaLaCl5: calculated XRD peak list (λ = 1.5418 Å (Cu Kα)), based on DFT lattice parameters and positions (PBE).

Peak list (6 most intense, 10 to 90 degrees two-theta, low angle first)
2theta, Rel. int., index
13.5, 100, 1 0 1
23.6, 81, 1 1 -1
30.5, 45, 2 1 0
33.6, 41, 2 1 2
40.5, 39, 2 1 -4
41.0, 35, 3 1 -1

Structure:
Cell: 7.6401 4.5596 13.4543 Å, 90.00 91.41 90.00°
Space group P2_1/m (No. 11)
One atom of each set of equivalent atoms:
1 Ba 0.0560 0.2500 0.3440 [2 per cell]
2 La 0.4368 0.7500 0.1491 [2 per cell]
3 Cl 0.0749 0.7500 0.1640 [2 per cell]
4 Cl 0.1545 0.2500 0.5698 [2 per cell]
5 Cl 0.3257 0.2500 0.0222 [2 per cell]
6 Cl 0.3574 0.7500 0.7928 [2 per cell]
7 Cl 0.3672 0.7500 0.3496 [2 per cell]

----------

# 1
# BaH6Os
Simulated powder diffractogram, λ = 1.5418 Å (Cu Kα). Input: a structure optimized by DFT (PBE).
Neutral-atom scattering factors, no anomalous dispersion.

Most intense lines, 10 to 90 degrees two-theta, sorted by position:
2θ/deg	d_spacing	intensity
25.9	3.444	100
32.9	2.719	53
40.6	2.225	31
42.4	2.134	27
53.2	1.722	14
54.7	1.679	26
58.8	1.570	10
64.0	1.455	16
65.2	1.431	15
75.1	1.265	10
83.3	1.160	8
84.4	1.148	8

Atomic structure:
abc: 5.4386 5.4386 10.0951
angles: 90.00 90.00 120.00
Space group R-3m (No. 166, hexagonal axes)
Symmetry-distinct sites (fractional):
Ba 0.0000 0.0000 0.0000 [3 per cell]
H 0.0069 0.5034 0.8938 [18 per cell]
Os 0.0000 0.0000 0.5000 [3 per cell]

***

# 2
# Th3Sb2
Simulated powder diffractogram, λ = 1.5418 Å (Cu Kα). Input: a structure optimized by DFT (PBE).
Neutral-atom scattering factors, no anomalous dispersion.

Most intense lines, 10 to 90 degrees two-theta, sorted by position:
2θ/deg	d_spacing	intensity
24.7	3.605	86
25.8	3.449	55
28.2	3.169	26
30.9	2.890	64
31.5	2.837	57
32.0	2.795	25
34.9	2.569	100
37.1	2.422	20
41.7	2.166	24
48.2	1.888	47
50.6	1.802	20
70.7	1.332	24

Atomic structure:
abc: 8.7655 11.8668 6.3373
angles: 90.00 90.00 90.00
Space group Ibam (No. 72)
Symmetry-distinct sites (fractional):
Th 0.0000 0.0000 0.2500 [4 per cell]